
yíng guāng cè dìng fǎ
  • fluorimetry;fluorometry;fluorometric assay
  1. 绒毛β-1,4葡萄糖苷酶的特性及其荧光测定法

    The Character and Fluorimetry of β - glucosidase on Chorionic Villi

  2. 它类似于前面讨论过的荧光测定法。

    This is similar to fluorimetry as previously discussed .

  3. 用免疫微球荧光测定法检验C1型葡萄球菌肠毒素的研究

    Application of immunofluorescent assays with microspheres in the detection of staphylococcal enterotoxin c_1

  4. 蔬菜、干鲜果品和饮料中总维生素C的荧光测定法

    Determination of Total Vitamin C Content in Vegetables , Fruits and Beverages by Fluorometric Method

  5. 荧光测定法检测肝脏三磷酸腺苷(ATP)含量。

    The content of ATP of liver was measured by fluorometry .

  6. 方法将IgE的浓度与抗IgE的浓度按不同的比例进行组合,用微量HA荧光测定法观察各配对组对人血细胞中嗜碱粒细胞(basophils,BOS)释放HA的影响。

    Methods To observe the effect of different concentration of IgE and anti - IgE on HA releasing with fluorescence way .

  7. 目的探讨荧光测定法测定滤纸片干血斑标本G6PD酶活性的可靠性。

    Objective : To investigate the credibility of quantitive fluorometric assay for glucose-6-phosphate dehydrogenase ( G6PD ) activity in dried blood spot specimens on filter paper .

-- begin --
Computed, not measured: a geometry-optimized CaCuF4 structure at the r²SCAN level of DFT.

Properties
- ΔE_f (eV per atom) = -3.043
- energy (eV for the cell shown) = -97.297

a = 5.3929 Å, b = 5.3929 Å, c = 6.4066 Å
α = 114.89°, β = 114.89°, γ = 90.00°
Fractional positions:
F  0.6932  0.1932  0.7440
F  0.9492  0.4492  0.2560
F  0.3068  0.8068  0.2560
F  0.5507  0.6932  0.7440
F  0.4493  0.3068  0.2560
F  0.0508  0.5508  0.7440
F  0.1932  0.0507  0.7440
F  0.8068  0.9493  0.2560
Ca  0.7500  0.7500  0.5000
Ca  0.2500  0.2500  0.5000
Cu  0.5000  0.0000  0.0000
Cu  0.0000  0.5000  0.0000

* * * * *

The following is a DFT calculation (PBE) of a relaxed CeAlCu4 crystal.

Calculated values
Crystal system ... hexagonal
Energy ... -4.26 eV per atom
ΔH_f (0 K) ... 0.50 eV per formula unit

Geometry as CIF:
```
data_CeAlCu4
_cell_length_a 5.7200
_cell_length_b 5.7200
_cell_length_c 4.4699
_cell_angle_alpha 90.00
_cell_angle_beta 90.00
_cell_angle_gamma 120.00
_symmetry_space_group_name_H-M 'P -6 m 2'
_symmetry_Int_Tables_number 187
_symmetry_space_group_name_Hall 'P -6 2'
loop_
_atom_site_label
_atom_site_fract_x
_atom_site_fract_y
_atom_site_fract_z
Ce1 0.0000 0.0000 0.0000
Al1 0.3333 0.6667 0.0000
Cu1 0.5009 0.0018 0.5000
Cu2 0.6667 0.3333 0.0000
```

=====

The following is a DFT calculation (PBE) of a relaxed CeAl2Cu3 crystal.

Calculated values
Crystal system ... orthorhombic
Energy ... -4.65 eV per atom
ΔH_f (0 K) ... -2.19 eV per formula unit

Geometry as CIF:
```
data_CeAl2Cu3
_cell_length_a 5.305
_cell_length_b 8.857
_cell_length_c 4.188
_cell_angle_alpha 90.00
_cell_angle_beta 90.00
_cell_angle_gamma 90.00
_symmetry_space_group_name_H-M 'C m m m'
_symmetry_Int_Tables_number 65
_symmetry_space_group_name_Hall '-C 2 2'
loop_
_atom_site_label
_atom_site_fract_x
_atom_site_fract_y
_atom_site_fract_z
Ce1 0.000 0.000 0.000
Al1 0.250 0.250 0.500
Cu1 0.000 0.336 0.000
Cu2 0.000 0.500 0.500
```
-- stop --

  8. 采用Caspase-3荧光测定法检测Caspase-3活性,WESTERNBLOTTING法分析JNK活性,同时分析Caspase抑制剂z-VAD-FMK对Caspase-3、JNK活性的影响。

    Effects of etoposide and the caspase inhibitor , z-VAD-FMK , on JNK and caspase-3 activity were determined , respectively , by using western blotting and a caspase-3 Fluorometric Assay Kit .

  9. 血浆儿茶酚胺荧光测定法氧化铝吸附葡聚糖凝胶G-10分离纯化

    Method for Determination of Plasma Catecholamine

  10. 结论荧光测定法定量测定G6PD酶活性准确性高、简单、快捷、费用低廉,可对滤纸片干血斑标本进行G6PD缺乏症的大规模筛查,适于在G6PD缺乏高发区推广应用。

    Conclusion : The fluorometric assay is an accurate , high-throughout , quantitive and simple method for G6PD activity testing . It is very favorable to employ in high incidence districts of G6PD deficiency .

  11. 人体胃粘膜组织中过氧化脂质的荧光测定法

    The measure of LPO in human gastric mucosa by fluorescence method

  12. 抗坏血酸快速微量荧光测定法研究

    Determination of total ascorbic acid in food using rapid microfluorometric method

  13. 微量钨的荧光测定法

    A Fluorometric Method for Determination of Tungsten in Trace Quantities

  14. 动物肝脏中维生素A荧光测定法的改进

    The fluorometry improvement of measuring vitamin A in animal liver

  15. 目的:建立奥沙普嗪肠溶胶囊的荧光测定法。

    To establish fluorescent method for the determination of oxaprozin enteric-coated capsules .

  16. 钕玻璃激光放大器反转粒子数的荧光测定法

    Fluorescence Measuring Method of Population Inversion of Nd : Glass Laser Amplifer

  17. 正常及高硒地区人尿中总硒含量的荧光测定法

    Fluorometric Determination of Total Selenium in Human Urine in Normal and Seleniferous Areas

  18. 猪肾中砷的氢化物发生原子荧光测定法

    Hydride Generation Atomic Fluorescence Spectrometry in Determining Arsenic Hydride in the Pig Kidneys

  19. 水处理剂聚氯化铝中砷的原子荧光测定法

    Determination of Arsenic in Water Treatment Agent Polyaluminium Chloride by Atomic Fluorescence Spectrometry

  20. 用于高通量筛选蛋白酶的氨基酸间接荧光测定法

    Determination of amino acid by indirect fluorimetry for high flux screening of protease

  21. 植物中硒的分离和微波消解鄄原子荧光测定法

    Speciation Analysis of Selenium in Plant Samples by Microwave-Assisted Digestion-Hydride Generation Atomic Fluorescence Spectrophotometry

  22. 血浆和组织中皮质酮的荧光测定法

    Spectrofluorometric determination of corticosterone in plasma and tissue

  23. 牛乳母乳中微量硒的荧光测定法

    Methods of fluorimetric determination of trace amount of selenium in milk and breast milk

  24. 饮用水中砷、锑的氢化物发生&原子荧光测定法

    Determination of Arsenic and Antimony in Drinking Water by Hydride Generation Atomic Fluorescence Spectrophotometry

  25. 香烟中尼古丁的荧光素-碱性藏花红能量转移体系荧光测定法

    Method for Determination of Nicotine in Cigarettes by Fluorescein and Fluorimetry-Basic Possession of Bonuses System

  26. 粮食、血中痕量硒蛋氨酸的溴化氰&荧光测定法

    Method of Cyanogen Bromide Fluorimetry Determination of Trace Amount of Selenomethionine in Grain and Blood

  27. 方法:应用荧光测定法进行体外酶活性测定。

    Method : Fluorometric assay was used for test the activity of the enzyme in vitro .

  28. 方法菌体内药物蓄积量和主动外排的作用采用荧光测定法;

    Methods Fluoroquinolone accumulation in bacteria and the effect of active efflux were measured by a fluorescence method .

  29. 人体脾脏组织中因子Ⅷ相关抗原定位的探讨&Ⅰ.间接免疫荧光测定法

    Study on the localization of factor VIII related antigen in human splenic tissue ⅰ . using indirect immunofluorescent detection

  30. 饮水中铅砷汞硒的断续流动氢化物发生原子荧光测定法

    Determination of Lead , Arsenic , Mercury and Selenium in Drinking Water by Intermittent Flow Hydride Generation Atomic Fluorescence Spectrophotometry